Next, find "1.6601" and "-5.7363 6.4886" in the entries further down, and quote these two lines and those between.

~~~
# 1
A molecular structure, C51H42NO5P2PdS3 in a non-equilibrium geometry, computed with wB97M-V/def2-TZVPD.

## Properties
Charge: +1
Largest force on an atom in eV/Å: 5.09
HOMO level (spin up / spin down) in eV: -10.32 / -10.32
LUMO level (spin up / spin down) in eV: -4.262 / -4.196

Geometry (Å):
Pd: 0.1247 -0.6068 0.1119
O: 3.2099 0.6970 -0.4965
S: 2.4508 -0.4470 0.0119
C: 2.7312 -1.7606 -1.2046
C: 3.6359 -2.7994 -1.1087
C: 3.7956 -3.6599 -2.1871
C: 3.0518 -3.4836 -3.3409
C: 2.1020 -2.4766 -3.4139
C: 1.9340 -1.6107 -2.3409
P: 0.6600 -0.2922 -2.3008
C: -0.7899 -0.8462 -3.2428
C: -1.9494 -1.1597 -2.5428
C: -3.0363 -1.6885 -3.2136
C: -2.9846 -1.8597 -4.5869
C: -1.8593 -1.4689 -5.2950
C: -0.7560 -0.9644 -4.6294
C: 1.3485 0.9741 -3.3935
C: 0.5239 2.0511 -3.7124
C: 0.9462 3.0008 -4.6199
C: 2.1890 2.8684 -5.2230
C: 3.0145 1.8027 -4.9003
C: 2.6095 0.8631 -3.9694
C: 3.2157 -1.0187 1.5506
C: 4.5420 -1.4026 1.6395
C: 5.0223 -1.9040 2.8404
C: 4.1751 -2.0087 3.9323
C: 2.8695 -1.5515 3.8582
C: 2.3768 -1.0276 2.6669
P: 0.7546 -0.1680 2.5814
C: 1.3019 1.5713 2.7612
C: 0.2922 2.5072 3.0035
C: 0.5879 3.8512 3.1283
C: 1.9026 4.2809 3.0154
C: 2.9068 3.3590 2.7744
C: 2.6142 2.0106 2.6414
C: 0.0202 -0.4838 4.2307
C: -0.6540 -1.6864 4.4334
C: -1.2542 -1.9486 5.6524
C: -1.2091 -1.0108 6.6711
C: -0.5307 0.1799 6.4771
C: 0.0875 0.4437 5.2690
H: 4.2129 -2.9541 -0.2115
H: 4.5061 -4.4694 -2.1176
H: 3.1966 -4.1428 -4.1836
H: 1.4772 -2.3814 -4.2882
H: -1.9975 -0.9779 -1.4740
H: -3.9236 -1.9687 -2.6649
H: -3.8296 -2.2846 -5.1072
H: -1.8391 -1.5615 -6.3708
H: 0.1212 -0.6559 -5.1821
H: -0.4484 2.1121 -3.2447
H: 0.3082 3.8356 -4.8707
H: 2.5133 3.5968 -5.9489
H: 3.9747 1.6915 -5.3804
H: 3.2518 0.0337 -3.7125
H: 5.1944 -1.2750 0.7886
H: 6.0522 -2.2169 2.9199
H: 4.5464 -2.4147 4.8612
H: 2.2329 -1.5976 4.7287
H: -0.7273 2.1600 3.1159
H: -0.1962 4.5697 3.3197
H: 2.1364 5.3285 3.1395
H: 3.9306 3.6885 2.6943
H: 3.4214 1.3139 2.4733
H: -0.6939 -2.4087 3.6315
H: -1.7644 -2.8867 5.8056
H: -1.7004 -1.2033 7.6118
H: -0.4777 0.9117 7.2677
H: 0.6200 1.3730 5.1446
O: -0.2302 -3.8874 -2.8228
C: -0.6027 -3.7284 -1.6766
N: -0.1780 -2.7862 -0.8234
S: -0.9350 -2.8277 0.6070
O: -1.7866 -1.6528 0.7785
O: 0.0432 -2.9810 1.6601
C: -1.9347 -4.2649 0.2780
C: -2.8898 -4.9290 1.0117
C: -3.5256 -6.0084 0.4067
C: -3.2256 -6.3812 -0.8956
C: -2.2885 -5.6752 -1.6373
C: -1.6382 -4.6143 -1.0295
H: -3.1424 -4.6140 2.0120
H: -4.2776 -6.5557 0.9517
H: -3.7299 -7.2280 -1.3389
H: -2.0665 -5.9255 -2.6625
C: -5.4029 6.3150 0.0204
C: -4.2825 5.3251 0.0538
C: -3.6742 4.8850 -1.1176
C: -2.6231 3.9870 -1.0768
C: -2.1672 3.5263 0.1443
C: -2.7815 3.9283 1.3199
C: -3.8270 4.8295 1.2736
S: -0.8370 2.3016 0.2677
C: 0.5521 3.3605 -0.3063
O: -1.0707 1.3791 -0.8861
H: -5.7363 6.4886 -0.9996
H: -5.0818 7.2666 0.4471
H: -6.2427 5.9573 0.6145
H: -4.0299 5.2396 -2.0737
H: -2.1716 3.6290 -1.9884
H: -2.4427 3.5379 2.2654
H: -4.3090 5.1360 2.1896
H: 0.3526 3.6966 -1.3167
H: 1.4424 2.7340 -0.2954
H: 0.6656 4.1947 0.3752

Atoms 1-6, force components in eV/Å:
Pd 3.519 3.633 0.600
O -0.267 0.491 0.278
S 0.366 -1.060 -0.629
C -0.400 -0.067 -0.077
C 0.136 0.082 0.273
C -0.043 0.097 -0.048


# 2
A molecular structure, C51H43ClCrN10O4P2Se2 in a non-equilibrium geometry, computed with wB97M-V/def2-TZVPD.

## Properties
Multiplicity: 4
Charge: +1
Largest force on an atom in eV/Å: 2.45
HOMO level (spin up / spin down) in eV: -9.29 / -9.29
LUMO level (spin up / spin down) in eV: -4.185 / -4.172
<S²>: 3.78

Geometry (Å):
Cr: 0.0940 -1.2048 -1.0332
Se: -4.2275 3.5068 1.6591
P: -2.1191 3.4754 1.8218
C: -1.6624 3.6929 3.5699
C: -1.1173 2.7256 4.3959
C: -0.8679 3.0193 5.7258
C: -1.1761 4.2712 6.2316
C: -1.7320 5.2397 5.4068
C: -1.9790 4.9499 4.0803
C: -1.2189 4.8507 1.0415
C: 0.1640 4.8870 1.1966
C: 0.8717 5.9796 0.7337
C: 0.2011 7.0295 0.1221
C: -1.1724 6.9766 -0.0542
C: -1.8884 5.8827 0.4032
C: -1.4798 2.0289 0.9706
C: -0.6835 0.8832 1.0247
N: -0.8095 0.3116 -0.2008
N: -1.6187 1.0384 -0.9286
N: -2.0271 2.0574 -0.2604
~~~

O: 0.0432 -2.9810 1.6601
C: -1.9347 -4.2649 0.2780
C: -2.8898 -4.9290 1.0117
C: -3.5256 -6.0084 0.4067
C: -3.2256 -6.3812 -0.8956
C: -2.2885 -5.6752 -1.6373
C: -1.6382 -4.6143 -1.0295
H: -3.1424 -4.6140 2.0120
H: -4.2776 -6.5557 0.9517
H: -3.7299 -7.2280 -1.3389
H: -2.0665 -5.9255 -2.6625
C: -5.4029 6.3150 0.0204
C: -4.2825 5.3251 0.0538
C: -3.6742 4.8850 -1.1176
C: -2.6231 3.9870 -1.0768
C: -2.1672 3.5263 0.1443
C: -2.7815 3.9283 1.3199
C: -3.8270 4.8295 1.2736
S: -0.8370 2.3016 0.2677
C: 0.5521 3.3605 -0.3063
O: -1.0707 1.3791 -0.8861
H: -5.7363 6.4886 -0.9996